By Sagar Mohod
Multi-modal International Hub Airport of Nagpur (MIHAN) that is tasked with ambitious industrial development project in the fringes of city is now eyeing a tourism park in its vicinity. As per details, the company is eyeing part of land in adjoining Special Economic Zone (SEZ) for development of greenery in a bid to provide a tourist attraction. For the same, MIHAN has finalised a project consultancy firm to conduct feasibility study, seeking idea on how to go about executing the project, to get contours of the tourism project, estimate of cost and most importantly the land component.
The project is still in primary stages, stated officials of MIHAN not wishing to be quoted and added that right now they are only exploring the idea and no concrete proposal is on the table. But the idea of Tourism Park in SEZ area itself is quite ambitious, said few industrialists in the region. Admitted the MIHAN officials, the moot question that the consultant needs to be address is whether Tourism Park can be created in SEZ area. The concept of SEZ is meant exclusively for industries that too with mandate for exports. The industries houses in SEZ area are entailed to various concessions and hence the concept of diverting the prime land for green project is debatable. The officials of MIHAN agreed and said hence the consultant is appointed to offer various options, plans and idea and also to explore rules, laws and submit the report. Only after receipt of Consultant's report further action can be taken, the officials added further.
### Unrelated to this page: molecular data
-- begin --
(1)
Below is a 11-piece molecular cluster, C20H67N5O11 overall, with properties calculated with wB97M-V/def2-TZVPD.

```
103
Properties=species:S:1:pos:R:3:forces:R:3
C 5.648 4.549 -0.018 0.82 -1.47 0.87
O 5.684 5.128 1.297 -0.90 0.06 -0.21
C 6.930 4.939 1.957 0.47 1.35 -0.07
C 7.008 5.384 3.470 -0.16 -0.13 0.44
C 6.365 6.718 3.780 -0.71 0.81 -0.11
N 8.399 5.524 4.020 -1.16 -0.77 -1.21
H 4.676 4.467 -0.506 -0.23 0.90 0.58
H 5.917 3.502 0.124 0.14 -0.42 -0.09
H 6.393 4.900 -0.731 0.04 0.74 0.15
H 7.287 3.919 1.818 0.02 -0.25 0.18
H 7.607 5.617 1.437 0.66 -0.03 -0.14
H 6.515 4.607 4.054 -0.02 -0.02 0.15
H 6.651 7.498 3.074 -0.12 -0.13 -0.51
H 6.684 7.167 4.720 0.23 -0.65 0.28
H 5.277 6.683 3.843 -0.01 -0.08 -0.38
H 8.881 4.664 3.801 0.45 -0.20 0.07
H 8.816 6.234 3.436 0.49 0.26 0.00
C -4.945 -6.023 0.895 -0.18 1.46 2.06
O -5.014 -6.917 -0.102 0.08 -1.87 -1.68
C -6.295 -7.116 -0.682 0.96 0.27 -0.83
C -6.014 -7.769 -2.043 -0.01 0.92 -0.56
C -5.041 -6.975 -2.991 0.94 -0.36 1.77
N -7.237 -7.944 -2.847 0.18 -0.12 -0.16
H -5.426 -6.351 1.816 -0.61 -0.20 0.19
H -5.408 -5.085 0.590 0.09 0.45 0.16
H -3.925 -5.865 1.245 0.26 0.09 -0.62
H -6.960 -7.660 -0.012 0.01 -0.41 -0.10
H -6.773 -6.158 -0.884 -0.07 0.43 0.08
H -5.581 -8.760 -1.904 0.03 0.00 0.21
H -5.383 -5.998 -3.333 -0.67 -0.32 -0.33
H -4.769 -7.694 -3.764 -0.20 0.42 -0.48
H -4.094 -6.710 -2.521 0.13 -0.29 0.34
H -6.794 -7.937 -3.754 -0.48 -0.96 -0.74
H -7.686 -7.047 -2.964 -0.46 0.49 0.70
C 5.934 -7.670 6.267 0.03 -0.21 -1.39
O 5.608 -6.807 5.144 -0.55 0.10 1.41
C 4.176 -6.692 4.910 1.70 -0.68 -0.84
C 3.971 -5.698 3.754 0.27 1.46 1.19
C 4.465 -4.294 4.205 -0.28 -0.41 0.14
N 2.537 -5.596 3.425 0.37 -0.36 0.27
H 5.490 -8.650 6.092 -0.11 -0.23 -0.04
H 5.638 -7.382 7.276 -0.26 0.75 -0.16
H 7.015 -7.807 6.246 -0.05 0.18 0.00
H 3.887 -7.701 4.616 -0.58 -0.17 -0.10
H 3.651 -6.427 5.828 -0.13 0.36 -0.07
H 4.518 -5.928 2.839 0.44 -0.68 0.28
H 4.053 -4.028 5.178 -0.45 -0.04 -0.05
H 4.116 -3.569 3.469 0.21 0.18 0.05
H 5.539 -4.213 4.373 0.07 -0.25 -0.52
H 2.220 -6.551 3.336 -0.45 -0.21 -0.05
H 2.493 -5.228 2.485 -0.25 0.23 -0.14
C 0.194 2.008 2.297 -0.61 -0.05 -0.38
O -0.915 1.288 1.728 -0.23 0.09 0.62
C -0.815 1.079 0.328 1.30 -2.02 -0.34
C -1.922 0.065 -0.236 -0.04 1.97 0.24
C -1.803 -0.347 -1.721 0.89 0.04 0.35
N -3.149 0.823 -0.065 -1.46 -0.20 -0.16
H 0.132 2.038 3.385 -0.47 -0.32 -0.06
H 0.172 3.048 1.972 0.16 0.09 -0.25
H 1.154 1.552 2.058 0.04 -0.09 -0.31
H -0.798 2.025 -0.212 -0.56 0.16 -0.22
H 0.183 0.664 0.184 0.34 -0.31 -0.35
H -2.066 -0.862 0.319 0.76 0.22 0.56
H -2.131 -1.371 -1.904 -0.42 0.12 0.23
H -0.758 -0.380 -2.030 0.15 0.28 -0.06
H -2.346 0.325 -2.385 0.05 0.03 0.04
H -3.314 1.441 -0.847 0.06 0.06 -0.06
H -3.132 1.392 0.769 0.04 -0.10 0.17
C -0.883 6.855 -4.431 1.56 -0.53 0.40
O -1.408 7.059 -3.122 -1.37 0.67 -1.95
C -2.629 7.799 -3.357 0.21 -0.05 3.42
C -3.211 8.168 -1.971 0.88 -0.61 0.95
C -3.693 7.015 -1.155 -0.21 -1.29 0.60
N -4.371 8.953 -2.130 -1.51 2.17 -1.34
-- stop --
As per information, basically MIHAN is tempted by location of SEZ in proximity to the Dr Babasaheb International Airport at Sonegaon and hence wants to foray into lucrative tourism sector. Also within MIHAN the industrial base is rising slowly and steadily. The growth has been fast in Information Technology industry segment that in turn means more number of persons are going to fly in from abroad in view of collaborative nature of work. In this light the idea about a Tourism Park and other ancillary activities were discussed by officials and for getting the broad idea the Consultant appointment was done.
A total of 4,354 Ha was acquired from farmers and land owners for MIHAN project whose one component is SEZ whose spread is around 1238 Ha. About 1364 Ha is reserved for international airport whose expansion project is in limbo. Therefore out of SEZ's land share how much would be required for Tourism Park is being explored. In case the Consultant provides a favorable report for the park, State Government will have to seek nod from Central Government for diversion of land for non-industry purposes. Further entry and exit in SEZ area is restricted so will a Tourism Park be feasible under such conditions is the moot question. Besides MIHAN another pet project Dahegaon Lake Beautification and development of water sports facilities has not find any takers as investors seems to be doubtful about the returns. The first call for Expression for Interest (EoI) did not invoke any response so MIHAN has gone for second call in a bid to attract investment. Giving broader idea of the project, one of the official mentioned that they are keen to create tourist circuit as number of international flyers to city has increased in recent past.
• Records of molecules, as found in the file:
........
Molecular formula: C4H8N2
Method: DFT, wB97M-V/def2-TZVPD

```
14
Properties=species:S:1:pos:R:3:forces:R:3:mulliken_charge:R:1
C 1.431002 0.175140 -0.577708 -0.1 0.0 -0.2 -0.59
N 2.286724 0.781831 0.446376 0.0 -0.1 0.2 -0.62
C 0.364059 -0.717991 -0.001399 -0.2 0.0 0.0 -0.30
C -0.930531 -0.464219 -0.070374 0.2 0.0 0.0 0.16
C -2.077579 0.324862 -0.480915 0.0 0.3 -0.2 -0.25
N -2.192810 -0.922322 0.323394 0.0 -0.2 0.2 -0.56
H 2.082629 -0.383613 -1.261216 -0.1 0.1 0.1 0.33
H 0.971307 0.978184 -1.166176 0.0 -0.2 0.1 0.33
H 2.791513 0.044236 0.933738 0.0 0.2 -0.1 0.24
H 0.695241 -1.581795 0.575354 -0.1 0.1 -0.1 0.32
H 1.690737 1.208451 1.150777 0.1 0.0 -0.1 0.25
H -2.475763 0.236117 -1.488510 0.1 0.0 0.1 0.21
H -2.261442 1.282850 0.003471 0.1 -0.2 0.0 0.22
H -2.393171 -0.742721 1.304144 0.0 0.0 -0.1 0.25
```
Positions in Å, forces in eV/Å.

Computed properties:
Structure (SMILES)   NC/C=C1\CN1
2S+1   1
Highest occupied orbital energy   -0.322 hartree
Electronic energy   -7255.7406 eV

***

Molecular formula: C7H17BFLuO
Method: DFT, wB97M-V/def2-TZVPD

```
28
Properties=species:S:1:pos:R:3:forces:R:3:mulliken_charge:R:1
C -1.567431 0.638168 -1.971350 -0.2 0.0 0.0 -1.23
C -1.302056 -0.809022 -1.545359 0.0 -0.1 -0.3 0.54
C -0.085311 -1.384300 -2.276048 0.3 0.2 0.3 -1.51
C -1.198140 -0.946828 -0.015218 -0.3 0.0 0.2 -1.37
C 0.100960 -0.364248 0.558569 0.1 0.3 0.3 1.87
C 0.946432 -1.277299 1.444849 0.6 -0.6 -1.6 -0.99
C -0.162053 0.864130 1.440099 -0.2 -0.2 -0.3 -1.37
O 1.056867 1.449396 1.888571 -0.5 -0.3 1.1 -0.17
B 1.749744 2.394677 1.130333 0.4 -0.2 -0.3 0.09
F 2.683250 3.077627 1.761565 0.3 0.2 0.5 -0.19
H -2.614565 0.907682 -1.818025 0.1 0.0 0.1 0.36
H -1.361437 0.766106 -3.035465 0.0 0.0 0.1 0.41
H -0.953220 1.357551 -1.414690 0.1 0.0 -0.2 0.16
H -2.169326 -1.399888 -1.854090 0.0 0.0 0.2 0.39
H 0.285402 -2.307407 -1.817004 -0.2 -0.1 -0.2 0.32
H -0.314729 -1.565636 -3.325846 0.0 -0.1 0.1 0.43
H 0.751234 -0.674082 -2.271297 0.0 0.0 0.0 0.38
H -1.328150 -1.992627 0.282381 0.2 0.0 -0.1 0.44
H -2.043129 -0.411702 0.436111 0.0 -0.1 0.0 0.42
H 0.791447 -0.097428 -0.256485 -0.2 0.3 0.0 -0.10
H 2.007794 -0.980043 1.319763 0.0 -0.1 0.5 0.69
H 0.846163 -2.347675 1.243498 -0.1 0.0 0.3 0.60
H 0.607031 -1.030249 2.445904 -2.6 -1.2 -2.4 -0.40
H -0.867764 1.562301 0.987947 0.4 0.3 0.0 0.56
H -0.630770 0.502474 2.388620 -0.3 0.0 -0.1 0.33
H 1.013334 3.033125 0.322586 0.1 -0.4 -0.3 0.20
H 2.287605 1.746899 0.109777 -0.4 0.4 -0.3 0.19
Lu 1.470817 -0.711702 3.840305 2.3 1.6 2.6 0.95
```
Positions in Å, forces in eV/Å.

Computed properties:
Total charge   +2
2S+1   1
Highest occupied orbital energy   -0.574 hartree
Electronic energy   -46572.7829 eV

***

Molecular formula: C26H29IN2O6PPbS2
Method: DFT, wB97M-V/def2-TZVPD

```
68
Properties=species:S:1:pos:R:3:forces:R:3:mulliken_charge:R:1
Pb -1.012562 -1.694170 -0.561385 0.2 1.5 0.7 1.49
C -4.893578 -0.672192 2.359201 0.1 -0.1 0.0 -1.06
C -3.643545 -0.821384 3.173329 0.0 0.0 0.1 0.48
........
The city already boasts of several tourism attraction but water sports could be a major business and same would also generate jobs. As to no takers for first call, the official said they realised some shortcoming remained in first EoI and hence have rectified the same and refloated the tender. "We are hopeful of putting in place infrastructure necessary to cater to tourists", said the official. In recent past numerous housing schemes have also come-up in MIHAN area. So in near future the in-house dwellers might themselves be customers for the recreational facility planned in the vicinity.